'''
# Tb3Y7Ho2

A relaxed structure of Tb3Y7Ho2 (GGA-PBE, the Alexandria database).

Cell lengths 3.572, 5.807, 19.249 Å; angles 104.18, 90.00, 90.00 degrees
Element x y z (fractional)
1 Tb 0.000 0.149 0.367
2 Y 0.500 0.279 0.537
3 Y 0.000 0.000 0.000
4 Y 0.000 0.461 0.144
5 Y 0.500 0.721 0.463
6 Y 0.000 0.539 0.856
7 Ho 0.500 0.411 0.705
8 Y 0.500 0.993 0.180
9 Ho 0.500 0.589 0.295
10 Tb 0.500 0.500 0.000
11 Y 0.500 0.007 0.820
12 Tb 0.000 0.851 0.633

Properties
Fermi-level density of states, states/eV per atom: 1.327
Relative energy among the computed polymorphs, eV/atom: 0.000



# Tb3Y3Ho5

A relaxed structure of Tb3Y3Ho5 (GGA-PBE, the Alexandria database).

Cell lengths 5.534, 9.629, 9.629 Å; angles 120.00, 90.00, 90.00 degrees
Element x y z (fractional)
1 Ho 0.500 0.000 0.625
2 Ho 0.500 0.375 0.375
3 Y 0.500 0.735 0.735
4 Ho 0.500 0.333 0.667
5 Tb 0.000 0.542 0.542
6 Ho 0.500 0.667 0.333
7 Tb 0.000 0.458 0.000
8 Y 0.500 0.265 0.000
9 Y 0.500 0.000 0.265
10 Tb 0.000 0.000 0.458
11 Ho 0.500 0.625 0.000

Properties
Fermi-level density of states, states/eV per atom: 1.457
Total DFT energy (no corrections), eV/atom: -4.289



# Tb7YHo3

A relaxed structure of Tb7YHo3 (GGA-PBE, the Alexandria database).

Cell lengths 5.792, 8.414, 8.414 Å; angles 82.88, 110.19, 110.19 degrees
Last column: magnetic moment on the atom in μB.
Element x y z (fractional)
1 Y 0.500 0.500 0.500  0.12
2 Tb 0.209 0.207 0.207  0.01
3 Tb 0.000 0.500 0.500  0.14
4 Ho 0.000 0.206 0.794  0.01
5 Tb 0.300 0.599 0.002  0.00
6 Tb 0.700 0.998 0.401  0.00
7 Ho 0.500 0.000 0.000  0.00
8 Tb 0.791 0.793 0.793  0.01
9 Tb 0.700 0.401 0.998  0.00
10 Ho 0.000 0.794 0.206  0.01
11 Tb 0.300 0.002 0.599  0.00

Properties
Fermi-level density of states, states/eV per atom: 1.490
Relative energy among the computed polymorphs, eV/atom: 0.124



# TbY2Ho6

A relaxed structure of TbY2Ho6 (GGA-PBE, the Alexandria database).

Cell lengths 5.008, 10.614, 10.615 Å; angles 90.00, 89.99, 90.00 degrees
Element x y z (fractional)
1 Tb 0.000 0.000 0.500
2 Ho 0.500 0.834 0.000
3 Y 0.500 0.167 0.333
4 Y 0.000 0.333 0.833
5 Ho 0.500 0.166 0.000
6 Tb 0.500 0.500 0.000
7 Ho 0.000 0.333 0.167
8 Ho 0.000 0.666 0.500
9 Ho 0.000 0.667 0.833
10 Ho 0.000 0.000 0.166
11 Ho 0.000 0.334 0.500
12 Y 0.500 0.833 0.667
13 Ho 0.500 0.500 0.666
14 Ho 0.500 0.500 0.334
15 Ho 0.500 0.167 0.667
16 Ho 0.500 0.833 0.333
17 Y 0.000 0.667 0.167
18 Ho 0.000 0.000 0.834

Properties
Fermi-level density of states, states/eV per atom: 1.283
Total DFT energy (no corrections), eV/atom: -4.981



# Tb2Y5Ho6

A relaxed structure of Tb2Y5Ho6 (GGA-PBE, the Alexandria database).

Cell lengths 3.579, 11.595, 20.208 Å; angles 90.00, 90.00, 90.00 degrees
Element x y z (fractional)
1 Ho 0.500 0.672 0.865
2 Y 0.500 0.910 0.774
3 Y 0.500 0.590 0.274
4 Tb 0.000 0.168 0.789
5 Ho 0.000 0.082 0.368
6 Y 0.500 0.000 0.500
7 Tb 0.000 0.332 0.289
8 Ho 0.000 0.939 0.920
9 Y 0.500 0.302 0.449
10 Ho 0.500 0.172 0.635
11 Y 0.500 0.698 0.551
12 Ho 0.000 0.439 0.580
13 Ho 0.500 0.828 0.365
14 Ho 0.000 0.918 0.632
15 Y 0.500 0.198 0.949
16 Y 0.500 0.410 0.726
17 Y 0.500 0.802 0.051
18 Ho 0.000 0.418 0.868
19 Y 0.500 0.500 0.000
20 Ho 0.000 0.561 0.420
21 Tb 0.000 0.668 0.711
22 Y 0.500 0.090 0.226
23 Ho 0.500 0.328 0.135
24 Tb 0.000 0.832 0.211
25 Ho 0.000 0.061 0.080
26 Ho 0.000 0.582 0.132

Properties
Fermi-level density of states, states/eV per atom: 1.264
Total DFT energy (no corrections), eV/atom: -5.211



# Tb2YHo9

A relaxed structure of Tb2YHo9 (GGA-PBE, the Alexandria database).

Cell lengths 5.001, 5.001, 15.000 Å; angles 90.00, 90.00, 90.00 degrees
Element x y z (fractional)
1 Y 0.000 0.000 0.000
2 Ho 0.000 0.500 0.833
3 Ho 0.000 0.500 0.500
4 Tb 0.000 0.000 0.333
5 Ho 0.500 0.000 0.167
6 Ho 0.500 0.500 0.000
7 Ho 0.500 0.000 0.500
8 Ho 0.500 0.000 0.833
9 Tb 0.000 0.000 0.667
10 Ho 0.000 0.500 0.167
11 Ho 0.500 0.500 0.666
12 Ho 0.500 0.500 0.334

Properties
Fermi-level density of states, states/eV per atom: 1.455
'''

It remains to set down the lines above verbatim.

# Tb3Y7Ho2

A relaxed structure of Tb3Y7Ho2 (GGA-PBE, the Alexandria database).

Cell lengths 3.572, 5.807, 19.249 Å; angles 104.18, 90.00, 90.00 degrees
Element x y z (fractional)
1 Tb 0.000 0.149 0.367
2 Y 0.500 0.279 0.537
3 Y 0.000 0.000 0.000
4 Y 0.000 0.461 0.144
5 Y 0.500 0.721 0.463
6 Y 0.000 0.539 0.856
7 Ho 0.500 0.411 0.705
8 Y 0.500 0.993 0.180
9 Ho 0.500 0.589 0.295
10 Tb 0.500 0.500 0.000
11 Y 0.500 0.007 0.820
12 Tb 0.000 0.851 0.633

Properties
Fermi-level density of states, states/eV per atom: 1.327
Relative energy among the computed polymorphs, eV/atom: 0.000



# Tb3Y3Ho5

A relaxed structure of Tb3Y3Ho5 (GGA-PBE, the Alexandria database).

Cell lengths 5.534, 9.629, 9.629 Å; angles 120.00, 90.00, 90.00 degrees
Element x y z (fractional)
1 Ho 0.500 0.000 0.625
2 Ho 0.500 0.375 0.375
3 Y 0.500 0.735 0.735
4 Ho 0.500 0.333 0.667
5 Tb 0.000 0.542 0.542
6 Ho 0.500 0.667 0.333
7 Tb 0.000 0.458 0.000
8 Y 0.500 0.265 0.000
9 Y 0.500 0.000 0.265
10 Tb 0.000 0.000 0.458
11 Ho 0.500 0.625 0.000

Properties
Fermi-level density of states, states/eV per atom: 1.457
Total DFT energy (no corrections), eV/atom: -4.289



# Tb7YHo3

A relaxed structure of Tb7YHo3 (GGA-PBE, the Alexandria database).

Cell lengths 5.792, 8.414, 8.414 Å; angles 82.88, 110.19, 110.19 degrees
Last column: magnetic moment on the atom in μB.
Element x y z (fractional)
1 Y 0.500 0.500 0.500  0.12
2 Tb 0.209 0.207 0.207  0.01
3 Tb 0.000 0.500 0.500  0.14
4 Ho 0.000 0.206 0.794  0.01
5 Tb 0.300 0.599 0.002  0.00
6 Tb 0.700 0.998 0.401  0.00
7 Ho 0.500 0.000 0.000  0.00
8 Tb 0.791 0.793 0.793  0.01
9 Tb 0.700 0.401 0.998  0.00
10 Ho 0.000 0.794 0.206  0.01
11 Tb 0.300 0.002 0.599  0.00

Properties
Fermi-level density of states, states/eV per atom: 1.490
Relative energy among the computed polymorphs, eV/atom: 0.124



# TbY2Ho6

A relaxed structure of TbY2Ho6 (GGA-PBE, the Alexandria database).

Cell lengths 5.008, 10.614, 10.615 Å; angles 90.00, 89.99, 90.00 degrees
Element x y z (fractional)
1 Tb 0.000 0.000 0.500
2 Ho 0.500 0.834 0.000
3 Y 0.500 0.167 0.333
4 Y 0.000 0.333 0.833
5 Ho 0.500 0.166 0.000
6 Tb 0.500 0.500 0.000
7 Ho 0.000 0.333 0.167
8 Ho 0.000 0.666 0.500
9 Ho 0.000 0.667 0.833
10 Ho 0.000 0.000 0.166
11 Ho 0.000 0.334 0.500
12 Y 0.500 0.833 0.667
13 Ho 0.500 0.500 0.666
14 Ho 0.500 0.500 0.334
15 Ho 0.500 0.167 0.667
16 Ho 0.500 0.833 0.333
17 Y 0.000 0.667 0.167
18 Ho 0.000 0.000 0.834

Properties
Fermi-level density of states, states/eV per atom: 1.283
Total DFT energy (no corrections), eV/atom: -4.981



# Tb2Y5Ho6

A relaxed structure of Tb2Y5Ho6 (GGA-PBE, the Alexandria database).

Cell lengths 3.579, 11.595, 20.208 Å; angles 90.00, 90.00, 90.00 degrees
Element x y z (fractional)
1 Ho 0.500 0.672 0.865
2 Y 0.500 0.910 0.774
3 Y 0.500 0.590 0.274
4 Tb 0.000 0.168 0.789
5 Ho 0.000 0.082 0.368
6 Y 0.500 0.000 0.500
7 Tb 0.000 0.332 0.289
8 Ho 0.000 0.939 0.920
9 Y 0.500 0.302 0.449
10 Ho 0.500 0.172 0.635
11 Y 0.500 0.698 0.551
12 Ho 0.000 0.439 0.580
13 Ho 0.500 0.828 0.365
14 Ho 0.000 0.918 0.632
15 Y 0.500 0.198 0.949
16 Y 0.500 0.410 0.726
17 Y 0.500 0.802 0.051
18 Ho 0.000 0.418 0.868
19 Y 0.500 0.500 0.000
20 Ho 0.000 0.561 0.420
21 Tb 0.000 0.668 0.711
22 Y 0.500 0.090 0.226
23 Ho 0.500 0.328 0.135
24 Tb 0.000 0.832 0.211
25 Ho 0.000 0.061 0.080
26 Ho 0.000 0.582 0.132

Properties
Fermi-level density of states, states/eV per atom: 1.264
Total DFT energy (no corrections), eV/atom: -5.211



# Tb2YHo9

A relaxed structure of Tb2YHo9 (GGA-PBE, the Alexandria database).

Cell lengths 5.001, 5.001, 15.000 Å; angles 90.00, 90.00, 90.00 degrees
Element x y z (fractional)
1 Y 0.000 0.000 0.000
2 Ho 0.000 0.500 0.833
3 Ho 0.000 0.500 0.500
4 Tb 0.000 0.000 0.333
5 Ho 0.500 0.000 0.167
6 Ho 0.500 0.500 0.000
7 Ho 0.500 0.000 0.500
8 Ho 0.500 0.000 0.833
9 Tb 0.000 0.000 0.667
10 Ho 0.000 0.500 0.167
11 Ho 0.500 0.500 0.666
12 Ho 0.500 0.500 0.334

Properties
Fermi-level density of states, states/eV per atom: 1.455